As the year winds down, do you realise it is crucial to check yourself? For those in The SCOAN during the last Sunday Service of 2024, it was a time to check their standing with God and fellow humans. This soul-searching began with a session of worship, during which the people glorified God with many songs for His enduring mercy and grace. “We Give You Glory And Honour/You Are The Lord/Let Your Name Be Glorified!” they proclaimed. Acknowledging God’s dominion, congregants hailed Yahweh in many ways and succeeded in preparing the atmosphere for the Holy Spirit.

An Unexamined Life Is An Unkempt Life
Evangelist Ope anchored his sermon on mainly 1 Timothy 4:16 and partly on 2 Corinthians 13:5 and 1 Corinthians 11:28. Entitled “Check Yourself”, the message was bluntly delivered to a quite receptive audience. Relying on 2 Corinthians 10:2, the preacher explained that his aim was not to see people compare themselves to others or measure themselves by themselves. Instead, he said, they were to examine their actions in the light of God’s Word, as urged in 2 Timothy 3:16-17 and Hebrews 4:12. “Examining oneself on a daily basis is a good thing,” he stated.

The minister also noted that most failure tends to be the result of inaction, especially failing to check oneself – a situation that often leads to regret. “An unchecked life is an unkempt life,” he observed, while adding that some people delight in causing pain to others and sowing seeds of discourse among people. As such, he urged congregants to note that they might in fact be the source of their own problems. One way to be a better person, he said, is to be grateful always, be a giver and practise forgiveness while avoiding an entitlement mentality.

As he concluded the sermon, Evangelist Ope cited 1 Corinthians 10:12 and Galatians 6:3 and told the people: “God Almighty is calling us to change. He is calling on us to look within and correct our ways. Let us check or examine ourselves in order to make a change, because if you don’t change nothing will change!”

“Go Where You Are Welcome”
“It is another glorious day in His presence and we have come to say, ‘Thank You’,” said Pastor Evelyn Joshua on joining the people for the Prayer Line ministration.
Following up on the sermon, Pastor Evelyn Joshua talked to the people about the place of faith and the nature of the Holy Spirit. She assured them, “The One inside of you is greater than the one in the world.” She also reminded congregants thus: “If the Holy Spirit takes residence within you, you will go to a place where He is honoured, welcome and appreciated not just where He is needed.”
Citing Luke 9:1-5 and Psalm 40:2, the woman of God observed: “Today many of us find ourselves where we are needed but not welcome.” She therefore encouraged the people to take the right decision by embracing Jesus Christ, who teaches us the way to go.
Touched In A Special Way
At the Prayer Line, Pastor Evelyn Joshua looked Heavenwards: “Father Lord, we bless Your Holy name. Jesus Christ, we honour You. Holy Spirit, we welcome You. Father, we have come declaring Your sovereignty. We confess that You are our God, that You are our Creator. We have come knowing You are the Judge, trusting in Your grace and in Your love that we are not left out. You are our peace; in You we find joy and in You we find eternal life.
Lord God Almighty, we ask You to touch us today in a different way, in a special way. Touch Your children so that those who are sick will say they are healed, those who are poor will say they are blessed, those who are weak will say they have strength and those who are lost will declare they are found, in the name of Jesus Christ.”
With faith in their hearts, people came with various issues such as difficulty in walking, asthma, swollen belly, hernia, alcohol addiction, skin disease, partial stroke, rheumatoid arthritis, and nose bleeding. And the power of the living God healed them all!

Other cases that received attention included ankle injury, drug addiction, shoulder fracture, enlarged prostate, mental disorder, leg ulcers, fire burns, loss of memory, piles, hypertension, difficulty in breathing, and seizures. As the people received from the Throne of Grace, they exclaimed, ‘Thank You, Jesus!’”

Pregnant women also got covered with the Blood of Jesus Christ.

For the rest of the congregants in the auditorium, the overflow section, the Sunday School and the nursing mother’s section, it was a special end-of-year touch backed by Heaven as God’s servants ministered with uncommon anointing.
Indeed, by the fire of the Holy Ghost, every stubborn demon was expelled!

And Their Fear Became Faith!
“May the peace of God never depart from your home,” prayed Pastor Evelyn Joshua at the end of the praise session. “Give thanks to God,” she urged the people.
Commencing the Mass Prayer session, she prayed: “We command every doubt in you to turn to strong faith, in the name of Jesus. We command every fear within and outside of you to turn to quiet confidence, in the name of Jesus. Every trouble that came into your life through the iniquity of the fathers – be washed away, in the name of Jesus. Spirit of ne’er-do-well that has entangled your life – we command it to be washed away, in the name of Jesus! Let there be healing in your body, spirit, bones, kidneys, spine, liver! Let there be healing in every organ of your body! Be healed of that affliction, sickness, disease, in the name of Jesus!”

The woman of God continued to pray: “All that causes you shame and disgrace – we command it to go with the year, in the name of Jesus! Everything that holds you to stagnation – we command it to go, in the name of Jesus Christ!”
Turning to viewers all over the world, Pastor Evelyn Joshua prayed: “Anything that stands between you and God’s promises for your life – we command it to give way right now, in the name of Jesus! Every evil veil of destruction, hatred, stagnation standing between you and the promises of God for your life – we command it to be broken, in the name of Jesus Christ! Victory in our lives, in our careers, in our marriage, in the name of Jesus! Breakthrough in your finances! Freedom from every shackle, from every bondage, from every limitation!”

Evangelist James urged the people to pray: “You demon, anywhere you are in my life, in my family – Out, in the name of Jesus! You familiar spirit, you ancestral spirit – Out, in the name of Jesus!”

Next, Evangelist Ope prayed: “Every family idol operating in your life – Out!”

Taking over, Evangelist Joseph prayed: “Those spirits causing you affliction, causing you pain, causing you disease in your organs – Out, in the name of Jesus! You poison in my heart, lungs, kidneys, bones – anywhere you are, hear the voice of God: I order you out!”

[Unrelated to this page: calculated crystals]
TbGdCu2As2P2: calculated PXRD pattern (Cu Kα), based on a cell relaxed with PBE.
Kinematic intensities with the Lorentz-polarization factor, no thermal factor.

The 6 most intense peaks (2θ from 10° to 90°), in order of rising 2θ:
d = 3.576 Å, I 51.6
d = 2.490 Å, I 31.7
d = 2.453 Å, I 21.6
d = 2.376 Å, I 100.0
d = 1.920 Å, I 29.8
d = 1.179 Å, I 20.8

Crystal structure
```
TbGdCu2As2P2
1.0
3.840 0.000 0.000
0.000 3.840 0.000
0.000 0.000 9.814
Tb Gd Cu As P
1 1 2 2 2
Direct
0.000 0.000 0.000
0.500 0.500 0.513
0.000 0.500 0.256
0.500 0.000 0.256
0.000 0.500 0.757
0.500 0.000 0.757
0.000 0.000 0.406
0.500 0.500 0.105
```


GdCuSbAs: calculated PXRD pattern (Cu Kα), based on a cell relaxed with PBE.
Kinematic intensities with the Lorentz-polarization factor, no thermal factor.

The 6 most intense peaks (2θ from 10° to 90°), in order of rising 2θ:
d = 3.184 Å, I 34.8
d = 2.594 Å, I 17.8
d = 2.521 Å, I 100.0
d = 2.138 Å, I 17.8
d = 2.065 Å, I 39.7
d = 1.263 Å, I 21.8

Crystal structure
```
GdCuSbAs
1.0
4.129 0.000 0.000
0.000 4.129 0.000
0.000 0.000 9.999
Gd Cu Sb As
2 2 2 2
Direct
0.250 0.250 0.226
0.750 0.750 0.774
0.250 0.750 0.500
0.750 0.250 0.500
0.250 0.250 0.665
0.750 0.750 0.335
0.250 0.750 0.000
0.750 0.250 0.000
```


GdYCu2As4: calculated PXRD pattern (Cu Kα), based on a cell relaxed with PBE.
Kinematic intensities with the Lorentz-polarization factor, no thermal factor.

The 6 most intense peaks (2θ from 10° to 90°), in order of rising 2θ:
d = 3.079 Å, I 19.7
d = 2.530 Å, I 21.5
d = 2.424 Å, I 100.0
d = 1.964 Å, I 35.5
d = 1.771 Å, I 15.0
d = 1.205 Å, I 21.1

Crystal structure
```
GdYCu2As4
1.0
3.928 0.000 0.000
0.000 3.928 0.000
0.000 0.000 9.919
Gd Y Cu As
1 1 2 4
Direct
0.000 0.000 0.000
0.500 0.500 0.526
0.000 0.500 0.263
0.500 0.000 0.263
0.000 0.000 0.422
0.000 0.500 0.762
0.500 0.000 0.762
0.500 0.500 0.104
```


Hf2Cu2SiGeAs2: calculated PXRD pattern (Cu Kα), based on a cell relaxed with PBE.
Kinematic intensities with the Lorentz-polarization factor, no thermal factor.

The 6 most intense peaks (2θ from 10° to 90°), in order of rising 2θ:
d = 3.442 Å, I 28.8
d = 2.926 Å, I 25.4
d = 2.292 Å, I 100.0
d = 2.015 Å, I 21.7
d = 1.843 Å, I 31.7
d = 1.133 Å, I 20.8

Crystal structure
```
Hf2Cu2SiGeAs2
1.0
3.686 0.000 0.000
0.000 3.686 0.000
0.000 0.000 9.626
Hf Cu Si Ge As
2 2 1 1 2
Direct
0.000 0.500 0.223
0.500 0.000 0.777
0.000 0.000 0.500
0.500 0.500 0.500
0.500 0.500 0.000
0.000 0.000 0.000
0.000 0.500 0.681
0.500 0.000 0.319
```


HfCuNiAs: calculated PXRD pattern (Cu Kα), based on a cell relaxed with PBE.
Kinematic intensities with the Lorentz-polarization factor, no thermal factor.

The 6 most intense peaks (2θ from 10° to 90°), in order of rising 2θ:
d = 3.596 Å, I 18.8
d = 2.202 Å, I 100.0
d = 1.878 Å, I 9.8
d = 1.557 Å, I 16.4
d = 1.271 Å, I 32.7
d = 1.101 Å, I 10.7

Crystal structure
```
HfCuNiAs
1.0
6.228 0.000 0.000
0.000 6.228 0.000
0.000 0.000 6.228
Hf Cu Ni As
4 4 4 4
Direct
0.000 0.000 0.000
0.000 0.500 0.500

Evangelist Chisom prayed: “You demon, you have no choice; you must submit! Anywhere you are, holding me down in bondage, limitation, disappointment – I command you in the name of Jesus: Out!”

In a Mass prayer video, Prophet TB Joshua declared: “I come against every spirit that stands against you! Every spirit that queries your business, career, vision, destiny – begin to give way, in the name of Jesus! Every familiar spirit – we command your existence: Out! You affliction in the blood, fluids, kidneys, liver, bones – you must go, in Jesus’ name!” The man of God urged the people to decree: “My finances, my business, my career – be released, in the name of Jesus!”

Healed From A Paralysing Stroke
Sometime in 2002, Blessing suffered a spiritual attack that eventually led to a stroke. She was taken to various places for help. “At one point I was moved to Ondo State,” she said on December 29, 2024. With not much improvement being recorded, Blessing returned to Lagos. “On October 23, 2022 my husband brought me to The SCOAN for prayer,” she recalled. Later that night, Blessing had a dream encounter with an image of Prophet TB Joshua. “The man of God raised my ailing hand and declared me healed,” she said. Today no longer is Blessing’s mouth twisted from the stroke nor her hand paralysed. “Run to God for your healing and deliverance,” she advised others.

No Longer A Slave To Demonic Pain!
One morning five years ago, Helen woke up to excruciating pain all over her body. “I shed tears and the pain vanished mysteriously,” she recalled on December 29, 2024. Two years later, however, the pain returned with a vengeance. “I went to different hospitals,” she continued, “and had physiotherapy sessions.” She later also got a lumbar corset. Yet, all these aids couldn’t help her.
“By 4 am each day I would wake up because of the pain,” Helen went on. But there was a spiritual dimension to the problem. “I used to see a man come to me in the dream and I suffered miscarriages,” she opened up. On receiving prayer on December 22, Helen had seen the power of the living God surge through her. “Now I can do all that I couldn’t do before,” she said while demonstrating her freedom. She advised others to seek God’s help.

An Artisan Regains His Strength
Joseph, a Ghanaian tiler based in Nigeria, had suddenly felt a sharp pain in his back. “I couldn’t move anymore, so one of my workers had to find a bus to move me,” he said on December 29, 2024. With his work kept on hold and medications not making a lot of difference, Joseph had no other choice but to seek divine intervention. First, he ministered the Living Water on himself after which he regained strength to walk. Second, he made his way to The SCOAN for prayer. After a touch by one of the evangelists, Joseph’s back pain vanished instantly. Now he has returned to work! “If only you could believe, God would do it for you,” he advised.

“I Feel A Sense Of Joy,” Says Man Delivered From Evil Spirits
Knowledge, a Zimbabwean, had been born into an idol-worshipping family. “My parents inherited the idols from their own parents and they told me the idols were meant to protect us,” he told the church on December 29, 2024. However, the idols brought nothing but misfortune to the entire family, bringing delay in every area of life. On discovering Emmanuel TV, Knowledge decided he had to make his way to The SCOAN. On December 15, 2024, he received a touched backed by Heaven. “I felt something leave my body and now I feel a sense of joy,” he said. For advice, he told congregants: “Jesus Christ is the only Solution to our problems.”

Elisa Breaks Free From Pain!
On December 22, 2024, Elisa from Angola was in The SCOAN for prayer. The instant prayer penetrated it, Elisa’s body started to vibrate uncontrollably, causing her to end up on the floor as Pastor Evelyn Joshua stood on the believer’s authority. “For 15 years I suffered severe pain from osteoporosis,” she said, “and I went to different doctors for help.” With the condition affecting her ability to walk, Elisa had almost accepted the doctors’ verdict that she couldn’t be permanently cured. However, she had taken the step of faith and sought divine help. “After the prayer, I received my healing and could move freely and sleep peacefully again,” she said. “Seek God’s help, she advised others.

An End To 16 Years Of Bed-wetting!
“I was a bed-wetter up to the age of 16,” confessed 18-year-old Gifty on December 29, 2024. Because of this problem, she had been unable to attend boarding school or mix up with peers in her primary school days. When her ‘little secret’ finally leaked in secondary school, Gifty became the butt of jokes. “Even at home my siblings sometimes mocked me,” she said. As a solution, Gifty started using adult diapers. “I would hide from my hostel mates in secondary school when using or disposing of the diapers.
To the glory of God, Gifty’s mother visited The SCOAN and got gifts of the Anointing Sticker and Anointing Water. “I ministered the water before going to bed and found that I hadn’t wet my bed for the night,” she testified. Gifty repeated the action. “I called my mother in the morning because I was now sure about the miracle,” she said with a knowing smile. For over two years now Gifty’s sheets have stayed dry! She and her mother glorified the Lord for the deliverance, urging others to trust in the Almighty.

Addiction To Hair Pulling Ends In Praise!
On July 28, 2023, Hope was at The SCOAN Living Water Service. She had been suffering from the addiction of yanking out the hair at the back of her head. “I just couldn’t stop it and people could easily identify me because of it,” Hope said on December 29, 2024. Hope’s parents had done so many things to help her stop the habit, but they had failed spectacularly. However, at the Living Water Service, Hope had prayed fervently and the Lord had hearkened to her cry.
“It was already two weeks after praying on The SCOAN Altar that I realised I no longer pulled my hair,” Hope recalled, her face glowing with a toothy smile. She advised others to seek the Lord’s help. “Whatever you are seeking today, the Lord will do it for you,” she assured them. Her mother, Stella, said, “I pray the miracle shall be permanent in her life, in Jesus’ name.”